
Inkcite is an opinionated workflow for building modern, responsive email. Like Middleman is to static web sites, Inkcite makes it easy for email developers to keep their code DRY (don’t repeat yourself) and integrate versioning, testing and minification into their workflow.

_Data records that have nothing to do with the article_
A plane-wave DFT calculation with PBE was carried out for a geometry-optimized AuSO4 structure.

final energy: -258.7 eV per cell
formation energy: -1313 meV per atom
symmetry: Pbca (61)

Unit cell a=8.532 b=10.598 c=8.791 alpha=90.00 beta=90.00 gamma=90.00
Fractional positions:
Au  0.054  0.016  0.134
Au  0.054  0.484  0.634
Au  0.446  0.516  0.134
Au  0.446  0.984  0.634
Au  0.554  0.016  0.366
Au  0.554  0.484  0.866
Au  0.946  0.516  0.366
Au  0.946  0.984  0.866
S  0.230  0.138  0.421
S  0.230  0.362  0.921
S  0.270  0.638  0.421
S  0.270  0.862  0.921
S  0.730  0.138  0.079
S  0.730  0.362  0.579
S  0.770  0.638  0.079
S  0.770  0.862  0.579
O  0.117  0.646  0.328
O  0.117  0.854  0.828
O  0.136  0.027  0.367
O  0.136  0.473  0.867
O  0.152  0.242  0.913
O  0.152  0.258  0.413
O  0.228  0.610  0.588
O  0.228  0.890  0.088
O  0.272  0.110  0.588
O  0.272  0.390  0.088
O  0.348  0.742  0.913
O  0.348  0.758  0.413
O  0.364  0.527  0.367
O  0.364  0.973  0.867
O  0.383  0.146  0.328
O  0.383  0.354  0.828
O  0.617  0.646  0.172
O  0.617  0.854  0.672
O  0.636  0.027  0.133
O  0.636  0.473  0.633
O  0.652  0.242  0.587
O  0.652  0.258  0.087
O  0.728  0.610  0.912
O  0.728  0.890  0.412
O  0.772  0.110  0.912
O  0.772  0.390  0.412
O  0.848  0.742  0.587
O  0.848  0.758  0.087
O  0.864  0.527  0.133
O  0.864  0.973  0.633
O  0.883  0.146  0.172
O  0.883  0.354  0.672



A plane-wave DFT calculation with PBE was carried out for a geometry-optimized UCo4B4 structure.

final energy: -140.3 eV per cell
formation energy: -414 meV per atom
symmetry: P4_2/nmc (137)

Unit cell a=5.001 b=5.001 c=6.981 alpha=90.00 beta=90.00 gamma=90.00
Fractional positions:
U  0.250  0.750  0.250
U  0.750  0.250  0.750
Co  0.004  0.250  0.109
Co  0.250  0.004  0.609
Co  0.250  0.496  0.609
Co  0.496  0.250  0.109
Co  0.504  0.750  0.891
Co  0.750  0.504  0.391
Co  0.750  0.996  0.391
Co  0.996  0.750  0.891
B  0.076  0.250  0.405
B  0.250  0.076  0.905
B  0.250  0.424  0.905
B  0.424  0.250  0.405
B  0.576  0.750  0.595
B  0.750  0.576  0.095
B  0.750  0.924  0.095
B  0.924  0.750  0.595



A plane-wave DFT calculation with PBE was carried out for a geometry-optimized Zr5Si3 structure.

final energy: -62.4 eV per cell
distance to the lowest polymorph of the same formula: 0.3991 eV per atom
formation energy: -394 meV per atom
symmetry: Pm (6)

Unit cell a=6.461 b=3.723 c=7.157 alpha=90.00 beta=92.40 gamma=90.00
Fractional positions:
Zr  0.000  0.000  0.000
Zr  0.144  0.000  0.495
Zr  0.396  0.500  0.848
Zr  0.542  0.000  0.193
Zr  0.689  0.000  0.623
Si  0.222  0.500  0.199
Si  0.452  0.500  0.464
Si  0.984  0.500  0.727



A plane-wave DFT calculation with PBE was carried out for a geometry-optimized Ba2Sr3CaMg2Si4O16 structure.

final energy: -198.4 eV per cell
formation energy: -3373 meV per atom
symmetry: Pm (6)

Unit cell a=7.046 b=5.545 c=9.600 alpha=90.00 beta=90.00 gamma=90.00
Fractional positions:
Ba  0.000  0.000  0.000
Ba  0.000  0.500  0.499

  • Easy, flexible templates, variables and Helpers
  • ERB for dynamic content and easy A/B Testing and Versioning
  • Automatic link tagging and tracking
  • Litmus-integrated compatibility testing and analytics
  • Email preview distribution lists
  • Automatic image optimization using ImageOptim
  • Failsafe rules to double-check your work


Inkcite is a Ruby gem. Ruby comes pre-installed on Mac OS X and Linux. If you’re using Windows, try RubyInstaller.

(Data records, as found in the file)
........
(1)
Below is crystalline Ce4Ru3 at its relaxed geometry, with properties calculated at the r²SCAN level.

Output
* energy of formation from the pure elements: -0.375 eV/atom
* crystal system: monoclinic
* symmetry: C2/m (12)
* VASP energy: -28.894 eV/atom
* M_tot: 0.00 μB per formula unit

Unit cell a=7.905 b=7.905 c=5.925 alpha=76.73 beta=76.73 gamma=114.06
Sites, in units of the cell vectors:
1 Ce 0.615 0.885 0.158
2 Ce 0.647 0.647 0.729
3 Ce 0.385 0.115 0.842
4 Ce 0.885 0.615 0.158
5 Ru 0.574 0.170 0.252
6 Ce 0.115 0.385 0.842
7 Ru 0.012 0.012 0.742
8 Ru 0.170 0.574 0.252
9 Ru 0.988 0.988 0.258
10 Ru 0.830 0.426 0.748
11 Ce 0.353 0.353 0.271
12 Ru 0.426 0.830 0.748
13 Ce 0.164 0.836 0.500
14 Ce 0.836 0.164 0.500

***

(2)
Below is crystalline Zr7As4 at its relaxed geometry, with properties calculated at the r²SCAN level.

Output
* energy of formation from the pure elements: -1.133 eV/atom
* crystal system: monoclinic
* symmetry: C2/m (12)
* VASP energy: -20.958 eV/atom
* M_tot: 0.00 μB per formula unit

Unit cell a=3.705 b=8.331 c=15.136 alpha=104.52 beta=90.00 gamma=102.85
Sites, in units of the cell vectors:
1 Zr 0.000 0.000 0.000
2 As 0.178 0.357 0.109
3 Zr 0.805 0.610 0.692
4 Zr 0.821 0.641 0.456
5 As 0.370 0.740 0.340
6 Zr 0.662 0.323 0.967
7 Zr 0.997 0.994 0.336
8 Zr 0.794 0.589 0.204
9 Zr 0.338 0.677 0.033
10 Zr 0.195 0.390 0.308
11 Zr 0.430 0.860 0.834
12 As 0.938 0.876 0.150
13 Zr 0.206 0.411 0.796
14 As 0.630 0.260 0.660
15 As 0.822 0.643 0.891
16 Zr 0.003 0.006 0.664
17 As 0.372 0.745 0.600
18 As 0.628 0.255 0.400
19 Zr 0.500 0.000 0.500
20 Zr 0.179 0.359 0.544
21 Zr 0.570 0.140 0.166
22 As 0.062 0.124 0.850

***

(3)
Below is crystalline SiO2 at its relaxed geometry, with properties calculated at the r²SCAN level.

Output
* energy of formation from the pure elements: -3.019 eV/atom
* crystal system: orthorhombic
* symmetry: Amm2 (38)
* VASP energy: -9.925 eV/atom
* M_tot: 0.00 μB per formula unit

Unit cell a=12.447 b=12.447 c=12.550 alpha=90.00 beta=90.00 gamma=124.32
Sites, in units of the cell vectors:
1 Si 0.669 0.063 0.122
2 O 0.045 0.728 0.317
3 O 0.881 0.797 0.302
4 Si 0.937 0.331 0.122
5 O 0.423 0.192 0.605
6 Si 0.330 0.670 0.624
7 Si 0.794 0.468 0.126
8 O 0.145 0.286 0.651
9 Si 0.775 0.490 0.500
10 O 0.145 0.286 0.349
11 O 0.572 0.142 0.500
12 O 0.964 0.036 0.645
13 O 0.350 0.650 0.500
14 O 0.821 0.179 0.132
15 O 0.885 0.418 0.842
16 Si 0.937 0.331 0.878
17 O 0.808 0.577 0.395
18 O 0.056 0.361 0.805
19 O 0.399 0.157 0.811
20 O 0.203 0.119 0.698
21 O 0.468 0.754 0.683
22 Si 0.113 0.389 0.315
23 O 0.257 0.743 0.368
24 Si 0.654 0.079 0.500
25 O 0.843 0.601 0.811
26 O 0.644 0.356 0.156
27 O 0.009 0.382 0.395
28 O 0.582 0.115 0.842
29 O 0.582 0.115 0.158
30 Si 0.184 0.816 0.376
31 O 0.808 0.192 0.500
32 O 0.885 0.418 0.158
33 O 0.503 0.196 0.000
34 Si 0.895 0.676 0.301
35 O 0.045 0.728 0.683
36 O 0.858 0.849 0.500
37 O 0.151 0.142 0.500
38 Si 0.854 0.884 0.376
39 Si 0.921 0.346 0.500
40 O 0.009 0.382 0.605
........

gem install inkcite

Getting Started

After Inkcite is installed, you will have access to the inkcite command. Create a new Inkcite email at your terminal or command prompt:

inkcite init MY_EMAIL

This will create a new directory called MY_EMAIL and fill it with the source files for your new email project. It includes a subdirectory called images where you store all images for your email.

Change directories into your new project and start the preview server:

inkcite server

Inkcite’s preview server gives you a live view of your email as you build it by modifying the source.html, helpers.tsv, source.txt and config.yml files. Open your browser to http://localhost:4567 to see your email as you build it. As you make changes, simply refresh your browser to see up-to-date results.

The config.yml file has an extensive set of properties that influence the HTML code that Inkcite produces plus how it sends preview emails.

During development, you can refer to your command prompt or terminal window to see important warnings (such as missing images or links).

Email Previews

When you’re ready to see what your email looks like in an email client, Inkcite will send previews on demand. Make sure you have configured the smtp settings in the config.yml file so that Inkcite can send email via your SMTP server. When you’re ready to send:

inkcite preview

With no other parameters, this will send a preview version of your email to the from email address you configured. You can also use the preview command to send to your email to internal or client distribution lists for review.

Compatibility Testing

Testing your Inkcite-built emails with Litmus is easy. Make sure you have configured the litmus section of the config.yml file.

inkcite test

The will create a new email test using your default set of email clients and send a preview version of the email to Litmus for testing. Subsequent runs of the test command will update the same test. Log into your Litmus account to review the results of the test.

Production Builds

After you’ve previewed and tested your email, you’re ready to create the production-ready email files. From the project directory:

inkcite build

By default, this will create the production version of your email. This includes fully-qualified URLs for images, link tracking and tagging and a host of other preflight features.

Learn More

Documentation for Inkcite is generously hosted by the friendly folks at Readme. Get started here:

Bug Reports

Github Issues is used for managing bug reports and feature requests. If you run into issues, please search the issues and submit new problems:

The best way to get quick responses to your issues and swift fixes to your bugs is to submit detailed bug reports, include test cases and respond to developer questions in a timely manner.


Copyright (c) 2014-2015 Jeffrey D. Hoffman. MIT Licensed, see LICENSE for details.